### Activity
The reader should transcribe everything below without altering anything.

### Material
┌──
1.
NaSrTl3 | GGA-PBE | relaxed

Its electronic total energy is -2.22 eV/atom. Its space-group type is P2_1/m (11).

Cell lengths 6.230, 6.984, 7.647 Å; angles 90.00, 90.00, 102.50 degrees
Fractional positions:
Tl  0.321  0.630  0.047
Tl  0.321  0.630  0.453
Tl  0.679  0.370  0.953
Tl  0.679  0.370  0.547
Tl  0.001  0.256  0.250
Tl  0.999  0.744  0.750
Na  0.570  0.916  0.750
Na  0.430  0.084  0.250
Sr  0.145  0.247  0.750
Sr  0.855  0.753  0.250


2.
LiW2Se | GGA-PBE | relaxed

For the uncorrected formation energy, the calculation gives 0.42 eV per atom. Its space-group type is Cm (8).

Cell lengths 4.591, 4.591, 5.407 Å; angles 75.62, 75.62, 37.34 degrees
Fractional positions:
W  0.962  0.962  0.969
W  0.742  0.742  0.745
Li  0.524  0.524  0.459
Se  0.273  0.273  0.327


3.
AlRe2Tc | GGA-PBE | relaxed

Its electronic total energy is -9.93 eV/atom. Its space-group type is Immm (71).

Cell lengths 5.130, 5.130, 5.130 Å; angles 144.99, 130.75, 61.85 degrees
Fractional positions:
Al  0.750  0.250  0.500
Re  0.999  0.999  0.000
Re  0.501  0.501  0.000
Tc  0.250  0.750  0.500


4.
Na2Mg | GGA-PBE | relaxed

Its electronic total energy is -1.22 eV/atom. Its space-group type is Fd-3m (227).

Cell lengths 6.390, 6.390, 6.390 Å; angles 60.00, 60.00, 60.00 degrees
Fractional positions:
Na  0.125  0.125  0.125
Na  0.625  0.125  0.125
Na  0.125  0.625  0.125
Na  0.125  0.125  0.625
Mg  0.500  0.500  0.500
Mg  0.750  0.750  0.750


5.
Al2IrOs | GGA-PBE | relaxed

Its electronic total energy is -7.29 eV/atom. Its space-group type is P2/m (10).

Cell lengths 2.839, 4.950, 5.222 Å; angles 51.33, 90.00, 90.00 degrees
Fractional positions:
Os  0.000  0.000  0.500
Ir  0.500  0.500  0.500
Al  0.500  0.500  0.000
Al  0.000  0.000  0.000


6.
CeY6Er2Tm | GGA-PBE | relaxed

Its electronic total energy is -5.68 eV/atom. Its space-group type is C2/c (15).

Cell lengths 9.683, 8.683, 8.683 Å; angles 116.40, 95.06, 95.06 degrees
Fractional positions:
Er  0.451  0.809  0.715
Er  0.951  0.715  0.809
Er  0.549  0.191  0.285
Er  0.049  0.285  0.191
Tm  0.750  0.025  0.975
Tm  0.250  0.975  0.025
Y  0.557  0.750  0.117
Y  0.057  0.117  0.750
Y  0.118  0.699  0.493
Y  0.817  0.428  0.982
Y  0.882  0.301  0.507
Y  0.683  0.018  0.572
Y  0.183  0.572  0.018
Y  0.943  0.883  0.250
Y  0.382  0.507  0.301
Y  0.317  0.982  0.428
Y  0.618  0.493  0.699
Y  0.443  0.250  0.883
Ce  0.750  0.594  0.406
Ce  0.250  0.406  0.594


7.
CdRhS2Cl | GGA-PBE | relaxed

For the uncorrected formation energy, the calculation gives 0.06 eV per atom. Its space-group type is P4/mmm (123).

Cell lengths 4.686, 4.686, 4.797 Å; angles 90.00, 90.00, 90.00 degrees
Fractional positions:
Cl  0.000  0.000  0.500
S  0.000  0.500  0.000
S  0.500  0.000  0.000
Cd  0.500  0.500  0.500
Rh  0.000  0.000  0.000


8.
Mg3SbF | GGA-PBE | relaxed

For the uncorrected formation energy, the calculation gives -0.11 eV per atom. Its space-group type is Pm-3m (221).

Cell lengths 5.660, 5.660, 5.660 Å; angles 90.00, 90.00, 90.00 degrees
Fractional positions:
Sb  0.000  0.000  0.000
Mg  0.000  0.500  0.000
Mg  0.000  0.000  0.500
Mg  0.500  0.000  0.000
F  0.500  0.500  0.500


9.
CdSn3I8 | GGA-PBE | relaxed

For the uncorrected formation energy, the calculation gives -0.50 eV per atom. Its space-group type is P6_3mc (186).

Cell lengths 9.141, 9.141, 14.311 Å; angles 90.00, 90.00, 120.00 degrees
Fractional positions:
I  0.000  0.000  0.339
I  0.828  0.172  0.090
I  0.980  0.490  0.850
I  0.510  0.020  0.850
I  0.667  0.333  0.584
I  0.510  0.490  0.850
I  0.172  0.345  0.590
I  0.000  0.000  0.839
I  0.345  0.172  0.090
I  0.828  0.655  0.090
I  0.333  0.667  0.084
I  0.490  0.510  0.350
I  0.172  0.828  0.590
I  0.490  0.980  0.350
I  0.020  0.510  0.350
I  0.655  0.828  0.590
Sn  0.338  0.169  0.714
Sn  0.662  0.831  0.214
Sn  0.831  0.169  0.714
Sn  0.169  0.338  0.214
Sn  0.831  0.662  0.714
Sn  0.169  0.831  0.214
Cd  0.667  0.333  0.974
Cd  0.333  0.667  0.474


10.
TaGaCo2 | GGA-PBE | relaxed
└──

### Reply
1.
NaSrTl3 | GGA-PBE | relaxed

Its electronic total energy is -2.22 eV/atom. Its space-group type is P2_1/m (11).

Cell lengths 6.230, 6.984, 7.647 Å; angles 90.00, 90.00, 102.50 degrees
Fractional positions:
Tl  0.321  0.630  0.047
Tl  0.321  0.630  0.453
Tl  0.679  0.370  0.953
Tl  0.679  0.370  0.547
Tl  0.001  0.256  0.250
Tl  0.999  0.744  0.750
Na  0.570  0.916  0.750
Na  0.430  0.084  0.250
Sr  0.145  0.247  0.750
Sr  0.855  0.753  0.250


2.
LiW2Se | GGA-PBE | relaxed

For the uncorrected formation energy, the calculation gives 0.42 eV per atom. Its space-group type is Cm (8).

Cell lengths 4.591, 4.591, 5.407 Å; angles 75.62, 75.62, 37.34 degrees
Fractional positions:
W  0.962  0.962  0.969
W  0.742  0.742  0.745
Li  0.524  0.524  0.459
Se  0.273  0.273  0.327


3.
AlRe2Tc | GGA-PBE | relaxed

Its electronic total energy is -9.93 eV/atom. Its space-group type is Immm (71).

Cell lengths 5.130, 5.130, 5.130 Å; angles 144.99, 130.75, 61.85 degrees
Fractional positions:
Al  0.750  0.250  0.500
Re  0.999  0.999  0.000
Re  0.501  0.501  0.000
Tc  0.250  0.750  0.500


4.
Na2Mg | GGA-PBE | relaxed

Its electronic total energy is -1.22 eV/atom. Its space-group type is Fd-3m (227).

Cell lengths 6.390, 6.390, 6.390 Å; angles 60.00, 60.00, 60.00 degrees
Fractional positions:
Na  0.125  0.125  0.125
Na  0.625  0.125  0.125
Na  0.125  0.625  0.125
Na  0.125  0.125  0.625
Mg  0.500  0.500  0.500
Mg  0.750  0.750  0.750


5.
Al2IrOs | GGA-PBE | relaxed

Its electronic total energy is -7.29 eV/atom. Its space-group type is P2/m (10).

Cell lengths 2.839, 4.950, 5.222 Å; angles 51.33, 90.00, 90.00 degrees
Fractional positions:
Os  0.000  0.000  0.500
Ir  0.500  0.500  0.500
Al  0.500  0.500  0.000
Al  0.000  0.000  0.000


6.
CeY6Er2Tm | GGA-PBE | relaxed

Its electronic total energy is -5.68 eV/atom. Its space-group type is C2/c (15).

Cell lengths 9.683, 8.683, 8.683 Å; angles 116.40, 95.06, 95.06 degrees
Fractional positions:
Er  0.451  0.809  0.715
Er  0.951  0.715  0.809
Er  0.549  0.191  0.285
Er  0.049  0.285  0.191
Tm  0.750  0.025  0.975
Tm  0.250  0.975  0.025
Y  0.557  0.750  0.117
Y  0.057  0.117  0.750
Y  0.118  0.699  0.493
Y  0.817  0.428  0.982
Y  0.882  0.301  0.507
Y  0.683  0.018  0.572
Y  0.183  0.572  0.018
Y  0.943  0.883  0.250
Y  0.382  0.507  0.301
Y  0.317  0.982  0.428
Y  0.618  0.493  0.699
Y  0.443  0.250  0.883
Ce  0.750  0.594  0.406
Ce  0.250  0.406  0.594


7.
CdRhS2Cl | GGA-PBE | relaxed

For the uncorrected formation energy, the calculation gives 0.06 eV per atom. Its space-group type is P4/mmm (123).

Cell lengths 4.686, 4.686, 4.797 Å; angles 90.00, 90.00, 90.00 degrees
Fractional positions:
Cl  0.000  0.000  0.500
S  0.000  0.500  0.000
S  0.500  0.000  0.000
Cd  0.500  0.500  0.500
Rh  0.000  0.000  0.000


8.
Mg3SbF | GGA-PBE | relaxed

For the uncorrected formation energy, the calculation gives -0.11 eV per atom. Its space-group type is Pm-3m (221).

Cell lengths 5.660, 5.660, 5.660 Å; angles 90.00, 90.00, 90.00 degrees
Fractional positions:
Sb  0.000  0.000  0.000
Mg  0.000  0.500  0.000
Mg  0.000  0.000  0.500
Mg  0.500  0.000  0.000
F  0.500  0.500  0.500


9.
CdSn3I8 | GGA-PBE | relaxed

For the uncorrected formation energy, the calculation gives -0.50 eV per atom. Its space-group type is P6_3mc (186).

Cell lengths 9.141, 9.141, 14.311 Å; angles 90.00, 90.00, 120.00 degrees
Fractional positions:
I  0.000  0.000  0.339
I  0.828  0.172  0.090
I  0.980  0.490  0.850
I  0.510  0.020  0.850
I  0.667  0.333  0.584
I  0.510  0.490  0.850
I  0.172  0.345  0.590
I  0.000  0.000  0.839
I  0.345  0.172  0.090
I  0.828  0.655  0.090
I  0.333  0.667  0.084
I  0.490  0.510  0.350
I  0.172  0.828  0.590
I  0.490  0.980  0.350
I  0.020  0.510  0.350
I  0.655  0.828  0.590
Sn  0.338  0.169  0.714
Sn  0.662  0.831  0.214
Sn  0.831  0.169  0.714
Sn  0.169  0.338  0.214
Sn  0.831  0.662  0.714
Sn  0.169  0.831  0.214
Cd  0.667  0.333  0.974
Cd  0.333  0.667  0.474


10.
TaGaCo2 | GGA-PBE | relaxed